**Entries:**
/*
[1]
Starting from a DFT-relaxed cell (GGA+U, Alexandria), the X-ray powder pattern of ScTl2MoO6 was calculated for Cu Kα X-rays.

Top 10 peaks for 10 to 90 degrees two-theta, in order of falling intensity:
hkl	two_theta	Rel. int.
1 1 0	27.25	1000
1 1 1	31.69	844
0 0 1	15.87	814
0 1 1	22.35	486
1 1 2	42.57	388
0 1 2	35.86	263
3 0 1	51.03	229
1 2 1	45.34	198
3 0 0	48.16	197
2 1 2	53.95	176

a b c (Å): 6.546 6.546 5.583
angles (deg): 90.00 90.00 120.00
Fractional coordinates of all 10 atoms:
1 Sc 0.000 0.000 0.000
2 Tl 0.333 0.667 0.431
3 Tl 0.667 0.333 0.569
4 Mo 0.000 0.000 0.500
5 O 0.133 0.265 0.276
6 O 0.133 0.867 0.276
7 O 0.265 0.133 0.724
8 O 0.735 0.867 0.276
9 O 0.867 0.133 0.724
10 O 0.867 0.735 0.724

***

[2]
Starting from a DFT-relaxed cell (GGA+U, Alexandria), the X-ray powder pattern of SrMoSeO2 was calculated for Cu Kα X-rays.

Top 10 peaks for 10 to 90 degrees two-theta, in order of falling intensity:
hkl	two_theta	Rel. int.
1 1 0	31.15	1000
1 0 2	38.46	914
1 0 1	26.91	675
2 0 0	44.63	641
2 1 2	60.34	475
1 0 0	21.88	305
2 1 1	52.87	201
3 1 0	73.77	196
2 2 0	64.93	150
0 0 1	15.47	145

a b c (Å): 4.062 4.062 5.727
angles (deg): 90.00 90.00 90.00
Fractional coordinates of all 5 atoms:
1 Sr 0.000 0.000 0.000
2 Mo 0.500 0.500 0.347
3 Se 0.500 0.500 0.793
4 O 0.000 0.500 0.290
5 O 0.500 0.000 0.290

***

[3]
Starting from a DFT-relaxed cell (GGA+U, Alexandria), the X-ray powder pattern of SmMoO5 was calculated for Cu Kα X-rays.

Top 10 peaks for 10 to 90 degrees two-theta, in order of falling intensity:
hkl	two_theta	Rel. int.
0 2 0	13.80	1000
1 2 1	31.26	940
1 2 -1	22.22	802
1 3 0	27.84	711
1 1 0	19.61	683
1 1 1	28.74	514
1 3 -1	27.17	482
1 1 -2	26.74	476
2 1 -1	33.85	467
1 0 -2	25.81	450

a b c (Å): 5.429 12.830 7.072
angles (deg): 90.00 116.96 90.00
Fractional coordinates of all 28 atoms:
1 Sm 0.157 0.061 0.283
2 Sm 0.157 0.439 0.783
3 Sm 0.843 0.561 0.217
4 Sm 0.843 0.939 0.717
5 Mo 0.409 0.135 0.850
6 Mo 0.409 0.365 0.350
7 Mo 0.591 0.635 0.650
8 Mo 0.591 0.865 0.150
9 O 0.041 0.555 0.985
10 O 0.041 0.945 0.485
11 O 0.205 0.059 0.954
12 O 0.205 0.441 0.454
13 O 0.267 0.240 0.263
14 O 0.267 0.260 0.763
15 O 0.275 0.657 0.423
16 O 0.275 0.843 0.923
17 O 0.486 0.576 0.841
18 O 0.486 0.924 0.341
19 O 0.514 0.076 0.659
20 O 0.514 0.424 0.159
21 O 0.725 0.157 0.077
22 O 0.725 0.343 0.577
23 O 0.733 0.740 0.237
24 O 0.733 0.760 0.737
25 O 0.795 0.559 0.546
26 O 0.795 0.941 0.046
27 O 0.959 0.055 0.515
28 O 0.959 0.445 0.015

***

[4]
Starting from a DFT-relaxed cell (GGA+U, Alexandria), the X-ray powder pattern of Sm2YMoO8 was calculated for Cu Kα X-rays.

Top 10 peaks for 10 to 90 degrees two-theta, in order of falling intensity:
hkl	two_theta	Rel. int.
0 2 1	31.21	1000
1 0 -1	24.26	634
1 0 1	24.61	570
1 2 -2	47.26	433
1 2 2	47.66	382
2 0 0	34.83	279
3 2 0	60.20	240
1 4 -1	59.22	108
2 0 2	50.46	108
2 4 0	65.11	107

a b c (Å): 5.152 6.896 5.153
angles (deg): 90.00 90.82 90.00
Fractional coordinates of all 12 atoms:
1 Sm 0.000 0.250 0.000
2 Sm 0.000 0.750 0.000
3 Y 0.500 0.000 0.500
4 Mo 0.500 0.500 0.500
5 O 0.196 0.000 0.198
6 O 0.231 0.500 0.233
7 O 0.321 0.289 0.680
8 O 0.321 0.711 0.680
9 O 0.679 0.289 0.320
10 O 0.679 0.711 0.320
11 O 0.769 0.500 0.767
12 O 0.804 0.000 0.802

***

[5]
Starting from a DFT-relaxed cell (GGA+U, Alexandria), the X-ray powder pattern of SnMoO was calculated for Cu Kα X-rays.

Top 10 peaks for 10 to 90 degrees two-theta, in order of falling intensity:
hkl	two_theta	Rel. int.
1 1 0	33.15	1000
0 1 2	35.56	860
1 0 2	33.90	621
1 0 -2	29.86	525
1 1 -1	34.45	324
2 0 0	41.87	270
2 1 2	58.60	242
0 2 0	52.81	242
2 1 -3	59.69	217
1 0 -3	39.90	200

a b c (Å): 4.349 3.466 7.428
angles (deg): 90.00 97.16 90.00
Fractional coordinates of all 6 atoms:
1 Sn 0.230 0.250 0.394
2 Sn 0.770 0.750 0.606
3 Mo 0.321 0.250 0.829
4 Mo 0.679 0.750 0.171
5 O 0.269 0.750 0.978
6 O 0.731 0.250 0.022

=====

# 1
*/
**What to do:**
Print the rows above from the first line to the one with "0.230 0.250" character by character.
**Result:**
[1]
Starting from a DFT-relaxed cell (GGA+U, Alexandria), the X-ray powder pattern of ScTl2MoO6 was calculated for Cu Kα X-rays.

Top 10 peaks for 10 to 90 degrees two-theta, in order of falling intensity:
hkl	two_theta	Rel. int.
1 1 0	27.25	1000
1 1 1	31.69	844
0 0 1	15.87	814
0 1 1	22.35	486
1 1 2	42.57	388
0 1 2	35.86	263
3 0 1	51.03	229
1 2 1	45.34	198
3 0 0	48.16	197
2 1 2	53.95	176

a b c (Å): 6.546 6.546 5.583
angles (deg): 90.00 90.00 120.00
Fractional coordinates of all 10 atoms:
1 Sc 0.000 0.000 0.000
2 Tl 0.333 0.667 0.431
3 Tl 0.667 0.333 0.569
4 Mo 0.000 0.000 0.500
5 O 0.133 0.265 0.276
6 O 0.133 0.867 0.276
7 O 0.265 0.133 0.724
8 O 0.735 0.867 0.276
9 O 0.867 0.133 0.724
10 O 0.867 0.735 0.724

***

[2]
Starting from a DFT-relaxed cell (GGA+U, Alexandria), the X-ray powder pattern of SrMoSeO2 was calculated for Cu Kα X-rays.

Top 10 peaks for 10 to 90 degrees two-theta, in order of falling intensity:
hkl	two_theta	Rel. int.
1 1 0	31.15	1000
1 0 2	38.46	914
1 0 1	26.91	675
2 0 0	44.63	641
2 1 2	60.34	475
1 0 0	21.88	305
2 1 1	52.87	201
3 1 0	73.77	196
2 2 0	64.93	150
0 0 1	15.47	145

a b c (Å): 4.062 4.062 5.727
angles (deg): 90.00 90.00 90.00
Fractional coordinates of all 5 atoms:
1 Sr 0.000 0.000 0.000
2 Mo 0.500 0.500 0.347
3 Se 0.500 0.500 0.793
4 O 0.000 0.500 0.290
5 O 0.500 0.000 0.290

***

[3]
Starting from a DFT-relaxed cell (GGA+U, Alexandria), the X-ray powder pattern of SmMoO5 was calculated for Cu Kα X-rays.

Top 10 peaks for 10 to 90 degrees two-theta, in order of falling intensity:
hkl	two_theta	Rel. int.
0 2 0	13.80	1000
1 2 1	31.26	940
1 2 -1	22.22	802
1 3 0	27.84	711
1 1 0	19.61	683
1 1 1	28.74	514
1 3 -1	27.17	482
1 1 -2	26.74	476
2 1 -1	33.85	467
1 0 -2	25.81	450

a b c (Å): 5.429 12.830 7.072
angles (deg): 90.00 116.96 90.00
Fractional coordinates of all 28 atoms:
1 Sm 0.157 0.061 0.283
2 Sm 0.157 0.439 0.783
3 Sm 0.843 0.561 0.217
4 Sm 0.843 0.939 0.717
5 Mo 0.409 0.135 0.850
6 Mo 0.409 0.365 0.350
7 Mo 0.591 0.635 0.650
8 Mo 0.591 0.865 0.150
9 O 0.041 0.555 0.985
10 O 0.041 0.945 0.485
11 O 0.205 0.059 0.954
12 O 0.205 0.441 0.454
13 O 0.267 0.240 0.263
14 O 0.267 0.260 0.763
15 O 0.275 0.657 0.423
16 O 0.275 0.843 0.923
17 O 0.486 0.576 0.841
18 O 0.486 0.924 0.341
19 O 0.514 0.076 0.659
20 O 0.514 0.424 0.159
21 O 0.725 0.157 0.077
22 O 0.725 0.343 0.577
23 O 0.733 0.740 0.237
24 O 0.733 0.760 0.737
25 O 0.795 0.559 0.546
26 O 0.795 0.941 0.046
27 O 0.959 0.055 0.515
28 O 0.959 0.445 0.015

***

[4]
Starting from a DFT-relaxed cell (GGA+U, Alexandria), the X-ray powder pattern of Sm2YMoO8 was calculated for Cu Kα X-rays.

Top 10 peaks for 10 to 90 degrees two-theta, in order of falling intensity:
hkl	two_theta	Rel. int.
0 2 1	31.21	1000
1 0 -1	24.26	634
1 0 1	24.61	570
1 2 -2	47.26	433
1 2 2	47.66	382
2 0 0	34.83	279
3 2 0	60.20	240
1 4 -1	59.22	108
2 0 2	50.46	108
2 4 0	65.11	107

a b c (Å): 5.152 6.896 5.153
angles (deg): 90.00 90.82 90.00
Fractional coordinates of all 12 atoms:
1 Sm 0.000 0.250 0.000
2 Sm 0.000 0.750 0.000
3 Y 0.500 0.000 0.500
4 Mo 0.500 0.500 0.500
5 O 0.196 0.000 0.198
6 O 0.231 0.500 0.233
7 O 0.321 0.289 0.680
8 O 0.321 0.711 0.680
9 O 0.679 0.289 0.320
10 O 0.679 0.711 0.320
11 O 0.769 0.500 0.767
12 O 0.804 0.000 0.802

***

[5]
Starting from a DFT-relaxed cell (GGA+U, Alexandria), the X-ray powder pattern of SnMoO was calculated for Cu Kα X-rays.

Top 10 peaks for 10 to 90 degrees two-theta, in order of falling intensity:
hkl	two_theta	Rel. int.
1 1 0	33.15	1000
0 1 2	35.56	860
1 0 2	33.90	621
1 0 -2	29.86	525
1 1 -1	34.45	324
2 0 0	41.87	270
2 1 2	58.60	242
0 2 0	52.81	242
2 1 -3	59.69	217
1 0 -3	39.90	200

a b c (Å): 4.349 3.466 7.428
angles (deg): 90.00 97.16 90.00
Fractional coordinates of all 6 atoms:
1 Sn 0.230 0.250 0.394